Given =
┌──
DFT (PBE with a Hubbard U) results for a geometry-optimized NaVF2 structure.

Cell and atoms, written as CIF:
```
data_NaVF2
_space_group_name_H-M_alt 'F m -3 m'
_space_group_IT_number 225
_space_group_name_Hall '-F 4 2 3'
_cell_length_a 5.9325
_cell_length_b 5.9325
_cell_length_c 5.9325
_cell_angle_alpha 90.00
_cell_angle_beta 90.00
_cell_angle_gamma 90.00
loop_
_atom_site_label
_atom_site_type_symbol
_atom_site_fract_x
_atom_site_fract_y
_atom_site_fract_z
Na1 Na 0.0000 0.0000 0.0000
V1 V 0.0000 0.0000 0.5000
F1 F 0.2500 0.2500 0.2500
```

Output
DOS(E_F): 15.5 states/eV/cell
ΔE to the lowest computed polymorph: 0.554 eV per atom

=====

# 1
Computed, not measured: a geometry-optimized PmZrAgBi structure at the PBE level of DFT.

```
data_PmZrAgBi
_cell_length_a 7.379
_cell_length_b 7.379
_cell_length_c 7.379
_cell_angle_alpha 90.00
_cell_angle_beta 90.00
_cell_angle_gamma 90.00
_symmetry_space_group_name_H-M 'F -4 3 m'
_symmetry_Int_Tables_number 216
_symmetry_space_group_name_Hall 'F -4 2 3'
loop_
_atom_site_label
_atom_site_type_symbol
_atom_site_fract_x
_atom_site_fract_y
_atom_site_fract_z
Pm1 Pm 0.000 0.000 0.000
Zr1 Zr 0.000 0.000 0.500
Ag1 Ag 0.250 0.250 0.750
Bi1 Bi 0.250 0.250 0.250
```

E_tot = -5.22 eV/atom
Formation enthalpy at 0 K = -0.214 eV per atom

***

# 2
Computed, not measured: a geometry-optimized Cd2AgGeSe4 structure at the PBE level of DFT.

```
data_Cd2AgGeSe4
_cell_length_a 6.177
_cell_length_b 6.177
_cell_length_c 12.069
_cell_angle_alpha 90.00
_cell_angle_beta 90.00
_cell_angle_gamma 90.00
_symmetry_space_group_name_H-M 'I -4 2 m'
_symmetry_Int_Tables_number 121
_symmetry_space_group_name_Hall 'I -4 2'
loop_
_atom_site_label
_atom_site_type_symbol
_atom_site_fract_x
_atom_site_fract_y
_atom_site_fract_z
Cd1 Cd 0.000 0.500 0.250
Ag1 Ag 0.000 0.000 0.000
Ge1 Ge 0.000 0.000 0.500
Se1 Se 0.242 0.242 0.381
```

E_tot = -3.27 eV/atom
Formation energy (no corrections) = -2.89 eV/f.u.

***

# 3
Computed, not measured: a geometry-optimized Tm4HPb structure at the PBE level of DFT.

```
data_Tm4HPb
_cell_length_a 7.589
_cell_length_b 15.966
_cell_length_c 5.780
_cell_angle_alpha 90.00
_cell_angle_beta 121.55
_cell_angle_gamma 90.00
_symmetry_space_group_name_H-M 'C 1 2/c 1'
_symmetry_Int_Tables_number 15
_symmetry_space_group_name_Hall '-C 2yc'
loop_
_atom_site_label
_atom_site_type_symbol
_atom_site_fract_x
_atom_site_fract_y
_atom_site_fract_z
Tm1 Tm 0.162 0.223 0.165
Tm2 Tm 0.207 0.069 0.612
H1 H 0.000 0.009 0.750
Pb1 Pb 0.000 0.405 0.750
```

E_tot = -4.37 eV/atom

***

# 4
Computed, not measured: a geometry-optimized AcPrDy2 structure at the PBE level of DFT.

```
data_AcPrDy2
_cell_length_a 8.318
_cell_length_b 8.318
_cell_length_c 8.318
_cell_angle_alpha 90.00
_cell_angle_beta 90.00
_cell_angle_gamma 90.00
_symmetry_space_group_name_H-M 'F m -3 m'
_symmetry_Int_Tables_number 225
_symmetry_space_group_name_Hall '-F 4 2 3'
loop_
_atom_site_label
_atom_site_type_symbol
_atom_site_fract_x
_atom_site_fract_y
_atom_site_fract_z
Ac1 Ac 0.000 0.000 0.000
Pr1 Pr 0.000 0.000 0.500
Dy1 Dy 0.250 0.250 0.250
```

Energy above the lowest structure with this stoichiometry = 71 meV/atom
E_tot = -4.41 eV/atom
Formation enthalpy at 0 K = 0.112 eV per atom

***

# 5
Computed, not measured: a geometry-optimized NdEr2Tl3Te6 structure at the PBE level of DFT.

```
data_NdEr2Tl3Te6
_cell_length_a 7.752
_cell_length_b 13.419
_cell_length_c 8.583
_cell_angle_alpha 90.00
_cell_angle_beta 107.53
_cell_angle_gamma 90.00
_symmetry_space_group_name_H-M 'C 1 2/m 1'
_symmetry_Int_Tables_number 12
_symmetry_space_group_name_Hall '-C 2y'
loop_
_atom_site_label
_atom_site_type_symbol
_atom_site_fract_x
_atom_site_fract_y
_atom_site_fract_z
Nd1 Nd 0.000 0.000 0.000
Er1 Er 0.000 0.333 0.000
Tl1 Tl 0.000 0.164 0.500
Tl2 Tl 0.000 0.500 0.500
Te1 Te 0.228 0.500 0.212
Te2 Te 0.243 0.171 0.215
```

E_tot = -4.37 eV/atom
Formation energy (no corrections) = -12.58 eV/f.u.

***

# 6
└──

To do =
Now search the data further above for the word "Bi" and type out each line that has it.

Worked solution =
Bi1 Bi 0.250 0.250 0.250